**File**
Compound: HoMgTl2
Source: Alexandria
Functional: meta-GGA SCAN
Structure: PBEsol geometry

Cell lengths 7.3132, 7.3132, 7.3132 Å; angles 90.00, 90.00, 90.00 degrees
Atoms (fractional coordinates):
Ho  0.0000  0.0000  0.0000
Ho  0.0000  0.5000  0.5000
Ho  0.5000  0.0000  0.5000
Ho  0.5000  0.5000  0.0000
Mg  0.0000  0.0000  0.5000
Mg  0.0000  0.5000  0.0000
Mg  0.5000  0.0000  0.0000
Mg  0.5000  0.5000  0.5000
Tl  0.2500  0.2500  0.2500
Tl  0.2500  0.2500  0.7500
Tl  0.2500  0.7500  0.2500
Tl  0.2500  0.7500  0.7500
Tl  0.7500  0.2500  0.2500
Tl  0.7500  0.2500  0.7500
Tl  0.7500  0.7500  0.2500
Tl  0.7500  0.7500  0.7500

Output
As for the space group: Fm-3m, No. 225. The energy of formation is -365 meV/atom.

Compound: YHoMg2
Source: Alexandria
Functional: meta-GGA SCAN
Structure: PBEsol geometry

Cell lengths 7.4815, 7.4815, 7.4815 Å; angles 90.00, 90.00, 90.00 degrees
Atoms (fractional coordinates):
Y  0.0000  0.0000  0.0000
Y  0.0000  0.5000  0.5000
Y  0.5000  0.0000  0.5000
Y  0.5000  0.5000  0.0000
Ho  0.0000  0.0000  0.5000
Ho  0.0000  0.5000  0.0000
Ho  0.5000  0.0000  0.0000
Ho  0.5000  0.5000  0.5000
Mg  0.2500  0.2500  0.2500
Mg  0.2500  0.2500  0.7500
Mg  0.2500  0.7500  0.2500
Mg  0.2500  0.7500  0.7500
Mg  0.7500  0.2500  0.2500
Mg  0.7500  0.2500  0.7500
Mg  0.7500  0.7500  0.2500
Mg  0.7500  0.7500  0.7500

Output
As for the space group: Fm-3m, No. 225. The energy of formation is -90 meV/atom.

| no. | E_tot (eV per cell) |
| --- | --- |
| 1 | -800.5 |
| 2 | -348.5 |

----------

# 1
Mg2CdBi2: optimized geometry, GGA-PBE.

a = 9.032 Å, b = 9.032 Å, c = 3.410 Å
α = 90.00°, β = 90.00°, γ = 90.00°
Fractional coordinates of all 10 atoms:
Mg 0.138 0.362 0.000
Mg 0.362 0.862 0.000
Mg 0.638 0.138 0.000
Mg 0.862 0.638 0.000
Cd 0.000 0.000 0.500
Cd 0.500 0.500 0.500
Bi 0.160 0.660 0.500
Bi 0.340 0.160 0.500
Bi 0.660 0.840 0.500
Bi 0.840 0.340 0.500

Results
Symmetry: P4/mbm (127)
Final energy in eV/atom: -2.4043
Polymorph energy (0 for the lowest one) in meV per atom: 56
Calculated volume in Å³/atom: 27.82
Formation enthalpy at 0 K in eV/atom: -0.031

***

# 2
MgCd6Bi: optimized geometry, GGA-PBE.

a = 4.561 Å, b = 4.561 Å, c = 9.170 Å
α = 90.00°, β = 90.00°, γ = 90.00°
Fractional coordinates of all 8 atoms:
Mg 0.000 0.000 0.000
Cd 0.000 0.500 0.235
Cd 0.000 0.500 0.765
Cd 0.500 0.000 0.235
Cd 0.500 0.000 0.765
Cd 0.500 0.500 0.000
Cd 0.500 0.500 0.500
Bi 0.000 0.000 0.500

Results
Symmetry: P4/mmm (123)
Final energy in eV/atom: -1.3735
Calculated volume in Å³/atom: 23.84
Formation enthalpy at 0 K in eV/atom: -0.003

***

# 3
Mg2Cd2Bi: optimized geometry, GGA-PBE.

a = 8.343 Å, b = 8.343 Å, c = 3.486 Å
α = 90.00°, β = 90.00°, γ = 90.00°
Fractional coordinates of all 10 atoms:
Mg 0.173 0.327 0.000
Mg 0.327 0.827 0.000
Mg 0.673 0.173 0.000
Mg 0.827 0.673 0.000
Cd 0.125 0.625 0.500
Cd 0.375 0.125 0.500
Cd 0.625 0.875 0.500
Cd 0.875 0.375 0.500
Bi 0.000 0.000 0.500
Bi 0.500 0.500 0.500

Results
Symmetry: P4/mbm (127)
Final energy in eV/atom: -1.8177
Polymorph energy (0 for the lowest one) in meV per atom: 0
Calculated volume in Å³/atom: 24.27
Formation enthalpy at 0 K in eV/atom: -0.038

***

# 4
MgCdBi3: optimized geometry, GGA-PBE.

a = 5.550 Å, b = 5.550 Å, c = 5.550 Å
α = 90.00°, β = 90.00°, γ = 90.00°
Fractional coordinates of all 5 atoms:
Mg 0.000 0.000 0.000
Cd 0.500 0.500 0.500
Bi 0.000 0.000 0.500
Bi 0.000 0.500 0.000
Bi 0.500 0.000 0.000

Results
Symmetry: Pm-3m (221)
Final energy in eV/atom: -2.3354
Polymorph energy (0 for the lowest one) in meV per atom: 0
Calculated volume in Å³/atom: 34.18
Formation enthalpy at 0 K in eV/atom: 0.495

***

# 5
Mg2Cd2Bi: optimized geometry, GGA-PBE.

a = 4.931 Å, b = 4.931 Å, c = 6.092 Å
α = 90.00°, β = 90.00°, γ = 117.12°
Fractional coordinates of all 5 atoms:
Mg 0.000 0.000 0.240
Mg 0.000 0.000 0.760
Cd 0.326 0.674 0.000
Cd 0.674 0.326 0.000
Bi 0.500 0.500 0.500

Results
Symmetry: Cmmm (65)
Final energy in eV/atom: -1.7860

**Request**
It remains to count the lines earlier on that contain the word "Atoms" and give the number alone.

**Worked solution**
2